(File)
=====
Rb2FeAu2 after structural relaxation. Source: Alexandria via LeMat-Bulk, functional GGA-PBE.

Properties
Energy of formation from the pure elements   0.258 eV per atom
Crystal system   tetragonal
Distance to the lowest polymorph of the same formula   0.000 eV per atom
Energy   -3.13 eV per atom

Structure (CIF):
```
data_Rb2FeAu2
_chemical_formula_sum 'Rb4 Fe2 Au4'
_cell_length_a 7.042
_cell_length_b 7.042
_cell_length_c 5.703
_cell_angle_alpha 90.00
_cell_angle_beta 90.00
_cell_angle_gamma 90.00
_symmetry_space_group_name_H-M 'P 4/m b m'
_symmetry_Int_Tables_number 127
_symmetry_space_group_name_Hall '-P 4 2ab'
loop_
_atom_site_label
_atom_site_type_symbol
_atom_site_fract_x
_atom_site_fract_y
_atom_site_fract_z
Rb1 Rb 0.175 0.325 0.000
Fe1 Fe 0.000 0.000 0.500
Au1 Au 0.147 0.647 0.500
```

RbFeAu3 after structural relaxation. Source: Alexandria via LeMat-Bulk, functional GGA-PBE.

Properties
Energy of formation from the pure elements   0.212 eV per atom
Crystal system   cubic
Distance to the lowest polymorph of the same formula   0.000 eV per atom
Energy   -3.64 eV per atom

Structure (CIF):
```
data_RbFeAu3
_chemical_formula_sum 'Rb1 Fe1 Au3'
_cell_length_a 5.074
_cell_length_b 5.074
_cell_length_c 5.074
_cell_angle_alpha 90.00
_cell_angle_beta 90.00
_cell_angle_gamma 90.00
_symmetry_space_group_name_H-M 'P m -3 m'
_symmetry_Int_Tables_number 221
_symmetry_space_group_name_Hall '-P 4 2 3'
loop_
_atom_site_label
_atom_site_type_symbol
_atom_site_fract_x
_atom_site_fract_y
_atom_site_fract_z
Rb1 Rb 0.000 0.000 0.000
Fe1 Fe 0.500 0.500 0.500
Au1 Au 0.000 0.500 0.500
```

Rb2FeAu2 after structural relaxation. Source: Alexandria via LeMat-Bulk, functional GGA-PBE.

Properties
Energy of formation from the pure elements   0.751 eV per atom
Crystal system   tetragonal
Distance to the lowest polymorph of the same formula   0.493 eV per atom
Energy   -2.64 eV per atom

Structure (CIF):
```
data_Rb2FeAu2
_chemical_formula_sum 'Rb4 Fe2 Au4'
_cell_length_a 5.149
_cell_length_b 5.149
_cell_length_c 14.181
_cell_angle_alpha 90.00
_cell_angle_beta 90.00
_cell_angle_gamma 90.00
_symmetry_space_group_name_H-M 'I 4/m m m'
_symmetry_Int_Tables_number 139
_symmetry_space_group_name_Hall '-I 4 2'
loop_
_atom_site_label
_atom_site_type_symbol
_atom_site_fract_x
_atom_site_fract_y
_atom_site_fract_z
Rb1 Rb 0.000 0.500 0.250
Fe1 Fe 0.000 0.000 0.000
Au1 Au 0.000 0.000 0.404
```

~~~~~

BaLiCa: optimized geometry, GGA-PBE.

Results
space group	Imma, No. 74
energy relative to the elements	0.0306	eV per atom
crystal system	orthorhombic
calculated total energy	-11.49	eV/cell

abc: 7.092 7.092 7.092
angles: 119.50 116.70 93.34
Element x y z (fractional)
Ba 0.369 0.119 0.250
Ba 0.631 0.881 0.750
Li 0.000 0.000 0.500
Li 0.000 0.500 0.000
Ca 0.000 0.500 0.500
Ca 0.500 0.500 0.000
=====

(Assignment)
Your job: count the lines earlier on that contain the word "after" and give the number alone.

(Worked solution)
3